It remains to return only the lines further down with the word "compared" in them.
┌──
Record 1
C9H12O | ωB97M-V with the def2-TZVPD basis set

The geometry in XYZ format:
```
22
Properties=species:S:1:pos:R:3:mulliken_charge:R:1
C 1.710 1.797 0.057 -1.119
C 0.414 1.837 0.045 0.237
C 2.127 0.401 0.068 0.761
C -0.777 1.248 -0.077 0.746
C 0.976 -0.674 0.031 1.264
C -1.599 0.949 1.091 -1.293
C -1.503 1.192 -1.382 -1.253
C 0.906 -1.503 -1.160 -1.614
C 0.743 -1.245 1.379 -1.357
O 3.180 -0.189 0.151 -0.521
H -2.630 1.433 0.857 0.282
H -1.053 1.065 2.095 0.394
H -1.920 -0.007 1.214 0.406
H -1.925 0.233 -1.578 0.319
H -0.857 1.264 -2.318 0.328
H -2.372 1.877 -1.187 0.361
H 1.498 -2.407 -1.116 0.382
H 1.208 -0.964 -2.068 0.372
H -0.111 -1.739 -1.431 0.385
H 0.156 -2.155 1.348 0.387
H 0.159 -0.692 2.122 0.197
H 1.672 -1.722 1.860 0.336
```

Values from the calculation:
relative energy (zero: lowest compared OMol25 entry of this formula, charge and spin): 158.47 kcal/mol
largest force on an atom: 3.91 eV/Å
spin multiplicity: 1
electronic energy: -11568.056 eV
Kohn-Sham gap (alpha / beta): 0.30008 / 0.22446 hartree



Record 2
C9H12O2 | ωB97M-V with the def2-TZVPD basis set

The geometry in XYZ format:
```
23
Properties=species:S:1:pos:R:3:mulliken_charge:R:1
C 0.296 0.702 -1.656 -0.619
C -0.278 0.171 -0.635 0.613
C 2.311 1.732 -0.868 -0.264
C -2.343 -0.576 0.798 -0.915
C -1.049 -0.523 0.104 -0.115
C -1.237 -1.570 1.192 1.185
C -0.575 -1.546 2.551 -1.410
C -1.496 -3.040 0.678 -1.546
C 2.985 3.639 -2.059 -0.574
O 1.177 1.794 -1.608 -0.289
O 3.074 2.658 -1.000 -0.025
H 0.308 0.473 -2.681 0.432
H -2.555 0.190 1.563 0.236
H -3.255 -0.821 0.277 0.263
H -1.013 -2.317 3.123 0.467
H -0.946 -0.525 3.156 0.267
H 0.472 -1.605 2.385 0.324
H -0.698 -3.709 0.959 0.415
H -1.558 -3.089 -0.355 0.474
H -2.418 -3.553 1.163 0.285
H 3.559 3.377 -3.038 0.236
H 3.372 4.519 -1.662 0.277
H 1.867 3.620 -2.387 0.282
```

Values from the calculation:
relative energy (zero: lowest compared OMol25 entry of this formula, charge and spin): 162.39 kcal/mol
largest force on an atom: 7.24 eV/Å
spin multiplicity: 1
electronic energy: -13615.560 eV
Kohn-Sham gap: 0.32849 hartree



Record 3
C9H12Se | ωB97M-V with the def2-TZVPD basis set

The geometry in XYZ format:
```
22
Properties=species:S:1:pos:R:3:lowdin_spin:R:1
C -0.149 -1.905 2.377 0.398
C -1.181 -1.854 1.517 0.501
C 1.030 -1.281 1.922 0.073
C -1.117 -1.164 0.300 0.055
C 1.137 -0.715 0.664 0.472
C -0.018 -0.538 -0.123 0.315
C -0.716 2.423 -0.518 0.005
C 0.341 1.625 -1.295 0.012
C 0.123 0.181 -1.438 0.028
Se 1.012 -0.811 -2.814 0.069
H 0.042 -2.535 3.198 0.022
H -2.215 -2.213 1.760 0.025
H 1.879 -1.360 2.607 -0.005
H -2.051 -0.908 -0.093 -0.006
H 2.003 -0.214 0.396 0.030
H -0.995 1.985 0.377 0.002
H -0.272 3.284 -0.191 0.000
H -1.711 2.516 -1.055 0.000
H 0.548 2.299 -2.211 0.001
H 1.358 1.781 -0.877 0.002
H -1.399 -0.101 -2.238 -0.002
H 2.349 -0.494 -2.264 0.003
```

Values from the calculation:
largest force on an atom: 7.85 eV/Å
spin multiplicity: 3
electronic energy: -74865.671 eV
Kohn-Sham gap (alpha / beta): 0.19784 / 0.21862 hartree



Record 4
C9H13BF4OSSbSe4Tc | ωB97M-V with the def2-TZVPD basis set

The geometry in XYZ format:
```
35
Properties=species:S:1:pos:R:3:mulliken_charge:R:1
Tc -0.788 -0.845 0.741 0.732
C -1.733 -1.705 2.640 -0.801
C -2.723 -0.834 2.117 -0.376
C -2.076 0.488 1.986 -0.345
C -0.684 0.379 2.525 -0.340
C -0.544 -0.977 2.901 -0.225
H -1.793 -2.807 2.715 0.716
H -3.700 -0.972 1.720 0.691
H -2.483 1.338 1.499 0.454
H -0.063 1.248 2.574 0.640
H 0.362 -1.390 3.350 0.426
Se -3.819 -4.649 0.530 -0.113
Sb -1.658 -4.780 -0.717 0.474
Se -2.611 -0.983 -0.999 0.175
Se -0.124 -3.437 0.725 -0.018
Se -3.405 -3.037 -1.466 -0.007
O -0.379 0.817 -0.458 -0.464
S 0.901 1.716 -0.302 0.560
C 2.013 1.134 -1.665 -0.613
C 1.300 1.459 -2.928 -0.665
C 0.435 2.716 -2.735 -0.675
C 0.344 3.071 -1.269 -0.632
H 2.179 0.101 -1.383 0.356
H 2.950 1.717 -1.587 0.488
H 0.626 0.597 -3.089 0.187
H 1.978 1.553 -3.750 0.454
H -0.523 2.604 -3.211 0.315
H 0.886 3.539 -3.311 0.315
H -0.697 3.314 -0.927 0.306
└──
relative energy (zero: lowest compared OMol25 entry of this formula, charge and spin): 158.47 kcal/mol
relative energy (zero: lowest compared OMol25 entry of this formula, charge and spin): 162.39 kcal/mol